Please type out all of the calculation results further below exactly.

<<<
No. 1
For Ag2WO4, DFT lattice parameters and positions (PBE+U) gives the theoretical powder diffractogram in this record (a wavelength of 1.5418 Å).

Most intense lines, 2θ from 10° to 90°, sorted by position:
2θ 16.55, intensity 10, hkl 1 0 1
2θ 30.03, intensity 23, hkl 2 0 0
2θ 30.95, intensity 100, hkl 1 2 3
2θ 32.07, intensity 21, hkl 0 4 0
2θ 44.51, intensity 21, hkl 2 4 0
2θ 53.91, intensity 20, hkl 3 2 3
2θ 54.33, intensity 9, hkl 2 0 6
2θ 55.61, intensity 8, hkl 0 4 6
2θ 56.47, intensity 19, hkl 1 6 3
2θ 64.50, intensity 9, hkl 2 4 6

Crystal structure
a = 5.9505 Å, b = 11.1641 Å, c = 12.3045 Å
α = 90.00°, β = 90.00°, γ = 90.00°
Space group Pnn2 (No. 34)
Symmetry-distinct sites (fractional):
Ag: 0.0000 0.0000 0.0000
Ag: 0.0000 0.0000 0.3267
Ag: 0.0000 0.0000 0.6646
Ag: 0.0000 0.5000 0.0156
Ag: 0.0132 0.2458 0.1834
Ag: 0.0204 0.2378 0.8287
W: 0.0000 0.5000 0.3628
W: 0.0000 0.5000 0.6519
W: 0.0359 0.2494 0.5051
O: 0.1276 0.8109 0.3901
O: 0.1354 0.8114 0.6181
O: 0.1497 0.5872 0.5062
O: 0.1858 0.5795 0.7446
O: 0.1921 0.5751 0.2701
O: 0.1985 0.3666 0.6177
O: 0.2005 0.3657 0.3948
O: 0.2111 0.6539 0.0089



No. 2
For Ag2WO4, DFT lattice parameters and positions (PBE+U) gives the theoretical powder diffractogram in this record (a wavelength of 1.5418 Å).

Most intense lines, 2θ from 10° to 90°, sorted by position:
2θ 16.38, intensity 10, hkl 1 0 1
2θ 29.36, intensity 23, hkl 2 0 0
2θ 31.24, intensity 100, hkl 1 2 3
2θ 31.41, intensity 21, hkl 0 4 0
2θ 43.53, intensity 23, hkl 2 4 0
2θ 53.27, intensity 20, hkl 3 2 3
2θ 55.50, intensity 9, hkl 2 0 6
2θ 55.81, intensity 18, hkl 1 6 3
2θ 56.75, intensity 8, hkl 0 4 6
2θ 65.17, intensity 10, hkl 2 4 6

Crystal structure
a = 6.0833 Å, b = 11.3925 Å, c = 11.8422 Å
α = 90.00°, β = 90.00°, γ = 90.00°
Space group Pnn2 (No. 34)
Symmetry-distinct sites (fractional):
Ag: 0.0000 0.0000 0.0000
Ag: 0.0000 0.0000 0.3422
Ag: 0.0000 0.0000 0.6972
Ag: 0.0000 0.5000 0.3503
Ag: 0.0040 0.2402 0.1659
Ag: 0.0121 0.2323 0.5206
W: 0.0000 0.5000 0.6919
W: 0.0000 0.5000 0.9898
W: 0.0391 0.2591 0.8418
O: 0.1514 0.5759 0.8400
O: 0.1892 0.3622 0.7176
O: 0.1955 0.5807 0.0794
O: 0.1975 0.5765 0.6016
O: 0.1980 0.3665 0.9634
O: 0.2209 0.8369 0.7623
O: 0.2380 0.1282 0.8481
O: 0.2377 0.8193 0.8957



No. 3
For YAgW2O8, DFT lattice parameters and positions (PBE+U) gives the theoretical powder diffractogram in this record (a wavelength of 1.5418 Å).

Most intense lines, 2θ from 10° to 90°, sorted by position:
2θ 17.67, intensity 27, hkl 2 0 -1
2θ 27.59, intensity 100, hkl 2 2 0
2θ 28.18, intensity 40, hkl 3 1 -1
2θ 29.67, intensity 57, hkl 2 2 -2
2θ 30.58, intensity 41, hkl 0 0 2
2θ 34.37, intensity 22, hkl 1 3 1
2θ 41.62, intensity 21, hkl 2 4 -2
2θ 45.66, intensity 23, hkl 3 1 1
2θ 50.33, intensity 17, hkl 4 0 -4
2θ 55.37, intensity 16, hkl 5 3 -1

Crystal structure
a = 10.0954 Å, b = 10.8415 Å, c = 7.3298 Å
α = 90.00°, β = 127.09°, γ = 90.00°
Space group C2/m (No. 12)
Symmetry-distinct sites (fractional):
Y: 0.0000 0.1987 0.0000
Ag: 0.1831 0.0000 0.5174
W: 0.0000 0.3355 0.5000
W: 0.2115 0.5000 0.9688
O: 0.0218 0.5000 0.3417
O: 0.0480 0.2332 0.3519
O: 0.0560 0.0000 0.8641
O: 0.1713 0.3699 0.0867
O: 0.2274 0.3746 0.7567



No. 4
For YAgW2O8, DFT lattice parameters and positions (PBE+U) gives the theoretical powder diffractogram in this record (a wavelength of 1.5418 Å).

Most intense lines, 2θ from 10° to 90°, sorted by position:
2θ 17.15, intensity 21, hkl 0 0 2
2θ 22.71, intensity 46, hkl 0 1 2
2θ 27.92, intensity 100, hkl 1 1 1
2θ 28.99, intensity 89, hkl 1 1 -3
2θ 34.25, intensity 29, hkl 2 0 -2
2θ 34.45, intensity 33, hkl 1 2 -1
2θ 34.71, intensity 21, hkl 0 0 4
2θ 48.82, intensity 26, hkl 0 3 2
2θ 49.04, intensity 18, hkl 1 2 3
2θ 50.38, intensity 21, hkl 1 2 -5

Crystal structure
a = 5.2429 Å, b = 6.0001 Å, c = 11.3627 Å
α = 90.00°, β = 114.53°, γ = 90.00°
Space group P2/c (No. 13)
Symmetry-distinct sites (fractional):
Y: 0.0000 0.1874 0.2500
Ag: 0.5000 0.1945 0.7500
W: 0.2401 0.3314 0.9932
>>>

No. 1
For Ag2WO4, DFT lattice parameters and positions (PBE+U) gives the theoretical powder diffractogram in this record (a wavelength of 1.5418 Å).

Most intense lines, 2θ from 10° to 90°, sorted by position:
2θ 16.55, intensity 10, hkl 1 0 1
2θ 30.03, intensity 23, hkl 2 0 0
2θ 30.95, intensity 100, hkl 1 2 3
2θ 32.07, intensity 21, hkl 0 4 0
2θ 44.51, intensity 21, hkl 2 4 0
2θ 53.91, intensity 20, hkl 3 2 3
2θ 54.33, intensity 9, hkl 2 0 6
2θ 55.61, intensity 8, hkl 0 4 6
2θ 56.47, intensity 19, hkl 1 6 3
2θ 64.50, intensity 9, hkl 2 4 6

Crystal structure
a = 5.9505 Å, b = 11.1641 Å, c = 12.3045 Å
α = 90.00°, β = 90.00°, γ = 90.00°
Space group Pnn2 (No. 34)
Symmetry-distinct sites (fractional):
Ag: 0.0000 0.0000 0.0000
Ag: 0.0000 0.0000 0.3267
Ag: 0.0000 0.0000 0.6646
Ag: 0.0000 0.5000 0.0156
Ag: 0.0132 0.2458 0.1834
Ag: 0.0204 0.2378 0.8287
W: 0.0000 0.5000 0.3628
W: 0.0000 0.5000 0.6519
W: 0.0359 0.2494 0.5051
O: 0.1276 0.8109 0.3901
O: 0.1354 0.8114 0.6181
O: 0.1497 0.5872 0.5062
O: 0.1858 0.5795 0.7446
O: 0.1921 0.5751 0.2701
O: 0.1985 0.3666 0.6177
O: 0.2005 0.3657 0.3948
O: 0.2111 0.6539 0.0089



No. 2
For Ag2WO4, DFT lattice parameters and positions (PBE+U) gives the theoretical powder diffractogram in this record (a wavelength of 1.5418 Å).

Most intense lines, 2θ from 10° to 90°, sorted by position:
2θ 16.38, intensity 10, hkl 1 0 1
2θ 29.36, intensity 23, hkl 2 0 0
2θ 31.24, intensity 100, hkl 1 2 3
2θ 31.41, intensity 21, hkl 0 4 0
2θ 43.53, intensity 23, hkl 2 4 0
2θ 53.27, intensity 20, hkl 3 2 3
2θ 55.50, intensity 9, hkl 2 0 6
2θ 55.81, intensity 18, hkl 1 6 3
2θ 56.75, intensity 8, hkl 0 4 6
2θ 65.17, intensity 10, hkl 2 4 6

Crystal structure
a = 6.0833 Å, b = 11.3925 Å, c = 11.8422 Å
α = 90.00°, β = 90.00°, γ = 90.00°
Space group Pnn2 (No. 34)
Symmetry-distinct sites (fractional):
Ag: 0.0000 0.0000 0.0000
Ag: 0.0000 0.0000 0.3422
Ag: 0.0000 0.0000 0.6972
Ag: 0.0000 0.5000 0.3503
Ag: 0.0040 0.2402 0.1659
Ag: 0.0121 0.2323 0.5206
W: 0.0000 0.5000 0.6919
W: 0.0000 0.5000 0.9898
W: 0.0391 0.2591 0.8418
O: 0.1514 0.5759 0.8400
O: 0.1892 0.3622 0.7176
O: 0.1955 0.5807 0.0794
O: 0.1975 0.5765 0.6016
O: 0.1980 0.3665 0.9634
O: 0.2209 0.8369 0.7623
O: 0.2380 0.1282 0.8481
O: 0.2377 0.8193 0.8957



No. 3
For YAgW2O8, DFT lattice parameters and positions (PBE+U) gives the theoretical powder diffractogram in this record (a wavelength of 1.5418 Å).

Most intense lines, 2θ from 10° to 90°, sorted by position:
2θ 17.67, intensity 27, hkl 2 0 -1
2θ 27.59, intensity 100, hkl 2 2 0
2θ 28.18, intensity 40, hkl 3 1 -1
2θ 29.67, intensity 57, hkl 2 2 -2
2θ 30.58, intensity 41, hkl 0 0 2
2θ 34.37, intensity 22, hkl 1 3 1
2θ 41.62, intensity 21, hkl 2 4 -2
2θ 45.66, intensity 23, hkl 3 1 1
2θ 50.33, intensity 17, hkl 4 0 -4
2θ 55.37, intensity 16, hkl 5 3 -1

Crystal structure
a = 10.0954 Å, b = 10.8415 Å, c = 7.3298 Å
α = 90.00°, β = 127.09°, γ = 90.00°
Space group C2/m (No. 12)
Symmetry-distinct sites (fractional):
Y: 0.0000 0.1987 0.0000
Ag: 0.1831 0.0000 0.5174
W: 0.0000 0.3355 0.5000
W: 0.2115 0.5000 0.9688
O: 0.0218 0.5000 0.3417
O: 0.0480 0.2332 0.3519
O: 0.0560 0.0000 0.8641
O: 0.1713 0.3699 0.0867
O: 0.2274 0.3746 0.7567



No. 4
For YAgW2O8, DFT lattice parameters and positions (PBE+U) gives the theoretical powder diffractogram in this record (a wavelength of 1.5418 Å).

Most intense lines, 2θ from 10° to 90°, sorted by position:
2θ 17.15, intensity 21, hkl 0 0 2
2θ 22.71, intensity 46, hkl 0 1 2
2θ 27.92, intensity 100, hkl 1 1 1
2θ 28.99, intensity 89, hkl 1 1 -3
2θ 34.25, intensity 29, hkl 2 0 -2
2θ 34.45, intensity 33, hkl 1 2 -1
2θ 34.71, intensity 21, hkl 0 0 4
2θ 48.82, intensity 26, hkl 0 3 2
2θ 49.04, intensity 18, hkl 1 2 3
2θ 50.38, intensity 21, hkl 1 2 -5

Crystal structure
a = 5.2429 Å, b = 6.0001 Å, c = 11.3627 Å
α = 90.00°, β = 114.53°, γ = 90.00°
Space group P2/c (No. 13)
Symmetry-distinct sites (fractional):
Y: 0.0000 0.1874 0.2500
Ag: 0.5000 0.1945 0.7500
W: 0.2401 0.3314 0.9932